Contents:
+++
# 1
Computed, not measured: a molecular structure, C27H29AsF6N3P2RhS2, with ωB97M-V/def2-TZVPD.

```
71
Properties=species:S:1:pos:R:3:forces:R:3:lowdin_charge:R:1
Rh 0.3790 0.5753 -1.2606 0.162 -0.088 -0.301 0.2718
As 2.8274 3.1904 -0.9619 0.328 -0.481 -0.411 0.7562
S 1.6413 -0.8673 -2.3574 0.087 0.153 0.077 0.3962
S -1.4282 1.7393 -2.3181 0.091 0.265 0.034 0.6703
P 1.2558 -0.6476 0.4316 0.317 0.087 0.050 0.8312
P -0.9504 -1.1182 -0.8305 0.083 -0.220 0.208 0.7878
F 1.3779 3.7472 -0.1451 0.068 0.024 -0.143 -0.2668
F 2.7877 4.5613 -1.9881 -0.080 -0.007 0.062 -0.2135
F 2.6467 1.7132 -0.0236 0.334 0.114 0.359 -0.3042
F 1.7599 2.3211 -2.1309 -0.310 0.150 0.227 -0.3573
F 3.8109 3.9183 0.2217 -0.094 0.023 0.019 -0.1952
F 4.1758 2.4987 -1.7692 -0.139 0.124 0.073 -0.2118
N 0.1123 -1.9096 0.2461 -0.029 -0.092 -0.209 -0.4359
N -1.4663 3.6015 -0.4228 -0.005 -0.152 -0.149 -0.0243
N -0.5851 4.2773 -2.4245 0.311 -0.013 -0.153 0.1685
C 5.5070 -2.2371 1.1564 0.103 -0.020 -0.006 -0.0535
C 0.0169 1.2544 4.4262 -0.013 -0.040 0.015 -0.0572
C -1.4837 -2.1656 -2.1841 -0.096 0.012 -0.052 -0.3575
C 4.4585 -2.6208 1.9771 -0.044 -0.017 0.016 -0.0592
C 0.1155 -0.1270 4.3029 0.002 0.029 -0.001 -0.0601
C -4.7256 0.0606 0.0431 0.022 -0.011 -0.004 -0.0597
C -1.6702 -2.6919 -4.5236 0.003 0.005 0.008 -0.0506
C 4.0105 -0.8732 -0.1379 -0.200 -0.061 0.055 -0.1107
C 0.7818 0.1280 1.9990 -0.030 0.126 0.051 -0.3196
C 0.6727 1.5126 2.1250 0.038 -0.145 -0.032 -0.0781
C 5.2852 -1.3583 0.1102 -0.060 0.018 -0.010 -0.0448
C -2.3004 -3.2575 -1.8774 0.032 0.024 0.059 -0.0837
C -1.1843 -1.8760 -3.5137 0.036 0.081 0.012 -0.1254
C 3.1846 -2.1376 1.7401 -0.147 0.042 -0.020 -0.0928
C -1.1034 3.3307 -1.6669 -0.283 -0.087 0.259 -0.8070
C 0.4857 -0.6869 3.0937 0.029 -0.016 0.008 -0.1205
C -3.5783 -0.3070 -0.6355 0.057 -0.059 0.099 -0.1164
C -4.7584 0.0084 1.4328 -0.078 0.023 -0.004 -0.0610
C -3.6510 -0.4216 2.1430 0.057 -0.033 0.011 -0.0584
C -2.4949 -0.7927 1.4689 0.022 0.008 0.001 -0.0705
C 0.4121 -3.3471 0.1505 -0.095 0.044 0.043 -0.0992
C -2.4509 -0.7285 0.0809 -0.167 -0.005 -0.122 -0.3402
C -2.4487 -3.7952 -4.2104 -0.010 -0.017 -0.010 -0.0498
C 0.2896 2.0679 3.3396 -0.016 0.004 -0.039 -0.0552
C -1.2505 4.8861 0.2235 0.004 0.145 0.019 -0.0458
C 2.9384 -1.2781 0.6633 0.085 -0.006 -0.058 -0.3245
C -2.7664 -4.0782 -2.8882 -0.007 -0.012 0.000 -0.0540
H 0.9141 2.1585 1.2932 -0.030 0.010 0.049 0.0616
H -2.5800 -3.4591 -0.8500 -0.015 -0.008 0.003 0.1130
H 2.3879 -2.4226 2.4134 0.030 -0.036 -0.011 0.0864
H -0.5832 -1.0097 -3.7668 -0.044 -0.054 0.011 0.0505
H -0.2630 5.1475 -2.0283 -0.013 0.012 0.033 0.1182
H 6.5033 -2.6135 1.3448 0.014 0.003 0.002 0.1149
H -0.4853 -3.9234 0.3684 -0.017 0.004 -0.004 0.0824
H -0.1912 5.1492 0.1960 -0.137 -0.032 0.053 0.0789
H -1.9359 2.8559 0.0722 0.075 0.112 -0.042 0.1282
H 0.5180 -1.7663 2.9995 -0.035 0.029 0.016 0.1008
H 1.1659 -3.6075 0.8854 0.055 -0.014 0.046 0.0686
H -3.6835 -0.4767 3.2227 0.006 -0.004 0.015 0.1119
H -1.4397 -2.4639 -5.5546 0.006 0.011 -0.016 0.1163
H -0.1528 3.9929 -3.2886 -0.011 0.001 -0.062 0.1190
H -1.5644 4.8076 1.2597 -0.003 0.000 0.004 0.0966
H -0.0984 -0.7665 5.1482 -0.015 -0.010 0.018 0.1138
H 0.2207 3.1432 3.4380 0.008 0.013 -0.012 0.1112
H -0.2738 1.6922 5.3715 0.004 0.004 0.018 0.1127
H 4.6350 -3.2888 2.8084 -0.020 -0.015 0.021 0.1134
H -3.3875 -4.9300 -2.6480 -0.001 -0.007 0.007 0.1146
H 6.1064 -1.0345 -0.5134 0.004 0.019 -0.018 0.1182
H -3.5588 -0.2706 -1.7164 -0.006 -0.008 -0.024 0.0923
H -1.6316 -1.1334 2.0199 -0.042 -0.004 -0.002 0.0760
H 3.8734 -0.1560 -0.9293 -0.104 0.077 -0.148 0.0583
H 0.7843 -3.6050 -0.8428 -0.003 -0.001 0.027 0.0824
H -1.8375 5.6694 -0.2594 -0.056 -0.025 -0.003 0.1000
H -2.8218 -4.4332 -5.0001 -0.001 -0.004 -0.010 0.1154
H -5.5981 0.3817 -0.5089 -0.011 0.003 -0.013 0.1138
H -5.6592 0.2936 1.9599 -0.007 0.005 0.000 0.1128
```
Positions in Å, forces in eV/Å.

Charge: +1
Orbital gap (spin up / spin down), eV: 7.38 / 6.73
Electronic energy, eV: -153339.91300
Expectation value of S²: 0.763
+++

Brief:
Now count the lines above that contain the word "Orbital" and give the number alone.

Outcome:
1